Sunday, July 6, 2008

F'd in the A

I am so happy today! Despite the rain which is incessant and totally got in the way of my swim in the lake. Yesterday my weather prayer was SO successful that this morning I decided to take my swim suit with me, rather than my umbrella... I ended up walking down the street with a towel over my head!

Still. Nice lunch, met some lovely new people at church 'fya know what I mean...?! ;-) Enjoyed playing the piano in the service; I have been doing that for a few months now, approx every other week and am SO lovin' it. It's really helped me with my ability and confidence and been one of the more blatant blessings of life here.

What other ones are there? Well, getting away from the UK to be honest was a much needed and welcome break. Then there is my pimp place to live (I have a rooftop pool!) and wonderfully slow working week (4-20 hours long during the afternoon and some weekends) which is now totally at an end for the summer. So many fabulous opportunities for trips and activities like skiing, rafting and other fun stuff came along too. The friends, who I can't begin to express how much I love and value, play a MAJOR part: at the YAGs group (I'll expound another time, needless to say a silly Christian acronym but I have heard worse!), church and the ones I met in trains and clubs too - love you guys!

I have also learnt A LOT. God aside, one obvious thing is French, which though not at all perfect is much better. My dear friend who teaches me for free and diligently sees me every week over a lovely soirée has really taught me a lot, both linguistically and spiritually. Others have shown me a bit of Russian too (I can ask where the toilets are, recite poetry and say "I want to have your babies"!) which will come in handy when I adopt my Eastern European baby. Well, it might not. I mean there are lots of languages 'over there' and I probably won't get a Russian child since they actually have population problems and, as Erkki says, "You have to learn Finnish to understand Finnish" which I think is a principle that can be applied to most languages.

I digress.

Sometimes I feel like I am in a stream of consciousness. I ought to read that book that Carolyn told be about (please remind me) but I would struggle 'cause I'd then want to write about it afterwards/as I went along and so the vicious cycle continues. I do feel a bit like Russell Brand when he says his life is a "serious of embarrassing incidents strung together by telling people about those embarrassing incidents" but where you replace the word 'embarrassing' with 'mediocre' and 'telling' with 'boring [people] with'... And perhaps 'people' with 'my parents, my sister and MS twice a day'. Hmmm.

I have a bit of an obsession with remembering things though, hence the stream-like flow. I sometimes need to boycott journaling 'cause else it takes over and I do literally spend my life writing about it. (I mostly got the blog to force me to check spelling and grammar.) This is also exemplified (word choice?) in things such as filling up my phone Inbox and then getting a new one! And I keep all the receipts and labels I ever get; if you saw my room back home you might wonder what all the drawers and boxes are full of. Well, now you know!

But, slowly, that is being dealt with. For a start I no longer print receipts at cash machines - breakthrough! Funny story: when I told Darryl I 'need' to keep receipts he took it very to heart and when he ordered his lunch gave me his food ticket too. Sweet. I was like, Darryl, I don't need yours.... but, well, now I do 'cause it's a keepsake! Ha ha!

So, I just came clean about one of my biggest oddities. I didn't even mean to, I really am good at digressing aren't I?! I suppose I see it as one of the bigger blessing from this year; freedom from shit like that. I don't think I could do it on my own strength and I see little point in trying now I know God is much better. It's like, I could just about cope and be really argggh or I could give up, move on and reach higher heights. Why take 40 years to get across a 40 day desert? He is in general responsible for everything so I may as well let him be in total control and do it really really well. I have 40kg to bring all my stuff back, which is a lovely biblical number, let's see what God can do...!

Oh and meaning of title? Well, that is a legendary phrase that my student used when she had done something really well (if you don't get it don't ask, you don't want to know) and seeing as she got a 6/7 for her maths mark today I am pretty pleased. I was going for the 7 but hey, she wasn't even passing last year and this way I get to not be proud!

So, another blessing from my time abroad. That and the Salvation. Shouldn't forget Salvation... Which by the way has 7 meanings from original Jewish (I think I mean Hebrew right?) or perhaps Greek: saved, protected, liberated, preserved, free from harm, complete, without defect. I like these all.

Shit old life: F'd that in the A. Even better than a good exam result in my humble opinion... Sorry if it got too personal; I think perhaps that green tea does, after all, have caffeine in it (I know you told me sis but I didn't want to believe you and I could not see it on the box). Whoops.

Yet still mostly Whoop!!


Carolyn Whitnall said...

Hehe, this post makes me sound knowledgeable, and cultured. Result! The book, by the way, is Tristram Shandy - the greatest 20th century novel not to be written in the 20th century. And yes, green tea, caffeine, 'tis true. Someone's just done a good job of marketing it as fashionable, healthy caffeine.

Data records from another source follow >
# PBE-GGA Ag2B8O13, relaxed
# Energy relative to the elements, eV per formula unit: -57.5
# Energy above the lowest structure with this stoichiometry, meV/atom: 12
# MP2020-corrected energy, eV per atom: -7.866
# Total magnetization, μB/atom: 0.00
# Electronic total energy, eV/atom: -7.478
data_Ag2B8O13
_chemical_formula_sum 'Ag8 B32 O52'
_cell_length_a 7.898
_cell_length_b 10.664
_cell_length_c 12.039
_cell_angle_alpha 80.22
_cell_angle_beta 89.99
_cell_angle_gamma 89.99
_symmetry_space_group_name_H-M 'P 1'
_symmetry_Int_Tables_number 1
loop_
_symmetry_equiv_pos_as_xyz
'x,y,z'
loop_
_atom_site_label
_atom_site_fract_x
_atom_site_fract_y
_atom_site_fract_z
Ag1 0.000 0.000 0.000
Ag2 0.028 0.348 0.298
Ag3 0.209 0.734 0.525
Ag4 0.275 0.072 0.830
Ag5 0.500 0.572 0.830
Ag6 0.565 0.234 0.525
Ag7 0.709 0.838 0.305
Ag8 0.775 0.500 0.999
B1 0.031 0.640 0.312
B2 0.043 0.601 0.790
B3 0.052 0.273 0.053
B4 0.056 0.425 0.675
B5 0.088 0.232 0.587
B6 0.127 0.078 0.212
B7 0.148 0.995 0.618
B8 0.188 0.841 0.242
B9 0.219 0.647 0.154
B10 0.223 0.798 0.777
B11 0.232 0.471 0.040
B12 0.244 0.433 0.518
B13 0.297 0.314 0.919
B14 0.323 0.988 0.356
B15 0.451 0.488 0.356
B16 0.478 0.814 0.919
B17 0.530 0.933 0.518
B18 0.543 0.971 0.040
B19 0.552 0.298 0.777
B20 0.556 0.147 0.154
B21 0.586 0.341 0.242
B22 0.627 0.494 0.618
B23 0.648 0.578 0.212
B24 0.688 0.731 0.588
B25 0.719 0.925 0.675
B26 0.723 0.774 0.053
B27 0.732 0.101 0.790
B28 0.744 0.138 0.312
B29 0.796 0.258 0.910
B30 0.823 0.584 0.473
B31 0.952 0.084 0.473
B32 0.978 0.758 0.911
O1 0.015 0.303 0.670
O2 0.039 0.181 0.158
O3 0.045 0.981 0.526
O4 0.054 0.766 0.313
O5 0.101 0.398 0.086
O6 0.101 0.836 0.857
O7 0.111 0.960 0.181
O8 0.117 0.577 0.237
O9 0.157 0.496 0.592
O10 0.164 0.112 0.649
O11 0.174 0.236 0.973
O12 0.174 0.674 0.744
O13 0.222 0.307 0.518
O14 0.230 0.091 0.303
O15 0.235 0.891 0.671
O16 0.259 0.769 0.159
O17 0.278 0.586 0.069
O18 0.318 0.872 0.323
O19 0.326 0.434 0.951
O20 0.350 0.511 0.445
O21 0.382 0.280 0.831
O22 0.393 0.780 0.831
O23 0.425 0.012 0.445
O24 0.449 0.934 0.951
O25 0.458 0.372 0.323
O26 0.497 0.087 0.068
O27 0.516 0.269 0.159
O28 0.540 0.391 0.671
O29 0.545 0.591 0.303
O30 0.554 0.807 0.517
O31 0.601 0.174 0.744
O32 0.601 0.736 0.973
O33 0.611 0.612 0.649
O34 0.617 0.996 0.592
O35 0.657 0.076 0.237
O36 0.665 0.460 0.181
O37 0.674 0.336 0.857
O38 0.674 0.898 0.086
O39 0.722 0.265 0.312
O40 0.730 0.481 0.526
O41 0.735 0.681 0.158
O42 0.759 0.803 0.670
O43 0.778 0.986 0.761
O44 0.818 0.700 0.507
O45 0.826 0.138 0.878
O46 0.850 0.060 0.385
O47 0.882 0.292 0.999
O48 0.893 0.792 0.999
O49 0.925 0.561 0.385
O50 0.949 0.639 0.878
O51 0.957 0.200 0.507
O52 0.997 0.486 0.761


Entry from the Materials Project: crystalline LiLaMg14O16 at its relaxed geometry (PBE-GGA).

Unit cell a=8.707 b=8.707 c=4.377 alpha=90.00 beta=90.00 gamma=90.00
Fractional positions:
Li 0.000 0.000 0.000
La 0.500 0.500 0.000
Mg 0.000 0.500 0.000
Mg 0.500 0.000 0.000
Mg 0.000 0.241 0.500
Mg 0.000 0.759 0.500
The data records stop here >

It also makes me realise how much I miss you! Well, your blog generally does that. Am looking forward to having you in Bristol come Autumn (though of course will be sorry to deprive Geneva of you).

Anonymous said...

Geneva will miss her indeed. Sniff. Is Bristol far away? "F'd in the A"... hmm. Now I won't stop thinking about what this could possibly mean for a week. ARGH! Curse my curiosity. Flattery in arithmetics? Félicitations in the A-levels? *eye is twitching*
Anyway, we're all happy about all the good stuff that's happened to you while being here =) Let's allow God to keep it up.

Darryl said...

I've quit saving receipts for you. I'm collecting shoe-boxes now, instead, for you to keep them in. Because that's just the kind of friend I am.